Review: Maruman Mnemosyne Special Memo Notepad

After proudly displaying my setup a while back, I wound up striking up an online conversation with Brad over at JetPens. Seeing that I’m a bit of a pen/pencil/paper junkie, he sent me some stuff to play with — and play with them I did.The first item I’m going to offer up for review is the notebook I received.
Mnemosyne is the ancient Greek goddess of memory, and this notebook reminds you of that when you first open it. And the Maruman Mnemosyne Special Memo Notepad has been one of the most elegant and useful notebooks I’ve used in recent – well…memory.

My Impressions

The outside cover is durable, which is especially essential when you’re dealing with a spiral-bound notebook. The inset page suggests how you should use the notepad, but it’s written in Japanese (go figure), so I couldn’t read it.

Since I didn’t want to find a translator (although if any of you out there can make sense of it, let me know) nor had the time to learn a new language before using the notepad, I had to go my own way with it.

And go my own way with it I did.

Someone pasted crystal structures at this point =
[1]
# PBE LiSc3In4, relaxed
data_LiSc3In4
_cell_length_a 3.326
_cell_length_b 3.326
_cell_length_c 15.617
_cell_angle_alpha 90.00
_cell_angle_beta 90.00
_cell_angle_gamma 90.00
_symmetry_space_group_name_H-M 'P 1'
_symmetry_Int_Tables_number 1
loop_
_symmetry_equiv_pos_as_xyz
'x,y,z'
loop_
_atom_site_label
_atom_site_fract_x
_atom_site_fract_y
_atom_site_fract_z
Li1 0.000 0.000 0.000
Sc1 0.000 0.000 0.235
Sc2 0.000 0.000 0.500
Sc3 0.000 0.000 0.765
In1 0.500 0.500 0.104
In2 0.500 0.500 0.367
In3 0.500 0.500 0.633
In4 0.500 0.500 0.896
# ΔE_f, eV/atom: -0.398
# Energy, eV per cell: -35.1



[2]
# PBE Li4ScIn7, relaxed
data_Li4ScIn7
_cell_length_a 6.423
_cell_length_b 6.423
_cell_length_c 10.473
_cell_angle_alpha 119.18
_cell_angle_beta 119.18
_cell_angle_gamma 51.02
_symmetry_space_group_name_H-M 'P 1'
_symmetry_Int_Tables_number 1
loop_
_symmetry_equiv_pos_as_xyz
'x,y,z'
loop_
_atom_site_label
_atom_site_fract_x
_atom_site_fract_y
_atom_site_fract_z
Li1 0.071 0.071 0.274
Li2 0.212 0.212 0.813
Li3 0.788 0.788 0.187
Li4 0.929 0.929 0.726
Sc1 0.500 0.500 0.500
In1 0.000 0.000 0.500
In2 0.162 0.162 0.072
In3 0.286 0.286 0.584
In4 0.450 0.450 0.121
In5 0.550 0.550 0.879
In6 0.714 0.714 0.416
In7 0.838 0.838 0.928
# ΔE_f, eV/atom: -0.082
# Energy, eV per cell: -34.1



What is the formula in the first record?
LiSc3In4



Please write out number 2 again, unchanged.
# PBE Li4ScIn7, relaxed
data_Li4ScIn7
_cell_length_a 6.423
_cell_length_b 6.423
_cell_length_c 10.473
_cell_angle_alpha 119.18
_cell_angle_beta 119.18
_cell_angle_gamma 51.02
_symmetry_space_group_name_H-M 'P 1'
_symmetry_Int_Tables_number 1
loop_
_symmetry_equiv_pos_as_xyz
'x,y,z'
loop_
_atom_site_label
_atom_site_fract_x
_atom_site_fract_y
_atom_site_fract_z
Li1 0.071 0.071 0.274
Li2 0.212 0.212 0.813
Li3 0.788 0.788 0.187
Li4 0.929 0.929 0.726
Sc1 0.500 0.500 0.500
In1 0.000 0.000 0.500
In2 0.162 0.162 0.072
In3 0.286 0.286 0.584
In4 0.450 0.450 0.121
In5 0.550 0.550 0.879
In6 0.714 0.714 0.416
In7 0.838 0.838 0.928
# ΔE_f, eV/atom: -0.082
# Energy, eV per cell: -34.1



Which value of ΔE_f does entry 1 give?
-0.398 eV/atom


PBE KTe2Ir, optimized geometry; magnetization = 0.00 μB per cell; volume = 155.41 Å³ per cell; formation energy (no corrections) = -19.6 meV per atom; space group = Cmmm (65)
1.0
2.022 -4.384 0.000
2.022 4.384 0.000
0.000 0.000 8.767
K Te Ir
1 2 1
direct
0.000 0.000 0.000 K
0.500 0.500 0.314 Te
0.500 0.500 0.686 Te
0.000 0.000 0.500 Ir

***

PBE KTe2Ir, optimized geometry; magnetization = 0.00 μB per cell; volume = 115.60 Å³ per cell; formation energy (no corrections) = -521.4 meV per atom; space group = R3m (160)
1.0
2.074 1.197 7.761
-2.074 1.197 7.761
0.000 -2.394 7.761
K Te Ir
1 2 1
direct
0.000 0.000 0.000 K
0.555 0.555 0.555 Te
0.779 0.779 0.779 Te
0.167 0.167 0.167 Ir

***

PBE KTe2Ir, optimized geometry; magnetization = 0.00 μB per cell; volume = 100.31 Å³ per cell; formation energy (no corrections) = 682.8 meV per atom; space group = F-43m (216)
1.0

I tend to the majority of my task and project management electronically, so I didn’t use the Mnemosyne Special Memo Notepad as a traditional day-planner. Instead, I used it to take notes from meetings and write down my “3 Big Rocks” for the day when needed. What you see below is some of what I wrote down – having fun with the notebook all the while.

The paper in the notepad is a pleasure to write on, and it is strong enough that it perforated properly from the notebook rather than straight off of the spiral bindings. Of course, the better the writing instrument the better your experience will be with any notebook. I tried a variety of pens and pencils to see how well things stood up, and even with lower quality writing tools the paper was still a joy to use. It rivals the Moleskine in this regard – and if I had to choose between the two, I’d pick this one hands-down.

My Wife’s Impressions

As a further litmus test, I asked my wife to give it a look. She’s more of a “paper planner” than I am, and also isn’t as hung up on quality of tools, just accessibility. She found the form factor of the notepad to be ideal for her and liked the strength of the paper as much as I did. The only thing she’d like to see in it was some form of calendar if she was going to use it for planning; she’s not big on having to fill out dates. But it wasn’t a deal-breaker, so there’s that.

The Verdict

<<<
DFT (GGA-PBE) results for crystalline AgSbPb at its relaxed geometry.

CIF file:
```
data_AgSbPb
_chemical_formula_sum 'Ag2 Sb2 Pb2'
_symmetry_space_group_name_H-M 'P 63/m m c'
_symmetry_Int_Tables_number 194
_symmetry_space_group_name_Hall '-P 6c 2c'
_cell_length_a 5.3542
_cell_length_b 5.3542
_cell_length_c 6.4208
_cell_angle_alpha 90.00
_cell_angle_beta 90.00
_cell_angle_gamma 120.00
loop_
_atom_site_label
_atom_site_type_symbol
_atom_site_fract_x
_atom_site_fract_y
_atom_site_fract_z
Ag1 Ag 0.0000 0.0000 0.0000
Sb1 Sb 0.3333 0.6667 0.2500
Pb1 Pb 0.3333 0.6667 0.7500
```

Properties
raw total energy = -10.1 eV/f.u.
relative energy among the computed polymorphs = 177 meV per atom

DFT (GGA-PBE) results for crystalline PrAlSiPt2 at its relaxed geometry.

CIF file:
```
data_PrAlSiPt2
_chemical_formula_sum 'Pr2 Al2 Si2 Pt4'
_symmetry_space_group_name_H-M 'P 4/n m m'
_symmetry_Int_Tables_number 129
_cell_length_a 4.288
_cell_length_b 4.288
_cell_length_c 10.213
_cell_angle_alpha 90.00
_cell_angle_beta 90.00
_cell_angle_gamma 90.00
loop_
_symmetry_equiv_pos_as_xyz
'x,y,z'
'-x,-y,-z'
'-y+1/2,x,z'
'y+1/2,-x,-z'
'-x+1/2,-y+1/2,z'
'x+1/2,y+1/2,-z'
'y,-x+1/2,z'
'-y,x+1/2,-z'
'x+1/2,-y,-z'
'-x+1/2,y,z'
'-y,-x,-z'
'y,x,z'
'-x,y+1/2,-z'
'x,-y+1/2,z'
'y+1/2,x+1/2,-z'
'-y+1/2,-x+1/2,z'
loop_
_atom_site_label
_atom_site_type_symbol
_atom_site_fract_x
_atom_site_fract_y
_atom_site_fract_z
Pr1 Pr 0.250 0.250 0.247
Al1 Al 0.250 0.750 0.500
Si1 Si 0.250 0.250 0.873
Pt1 Pt 0.250 0.250 0.637
Pt2 Pt 0.250 0.750 0.000
```

Properties
raw total energy = -31.7 eV/f.u.

DFT (GGA-PBE) results for crystalline Pr2Sm2C2I5 at its relaxed geometry.

CIF file:
```
data_Pr2Sm2C2I5
_chemical_formula_sum 'Pr4 Sm4 C4 I10'
_symmetry_space_group_name_H-M 'C 1 2/m 1'
_symmetry_Int_Tables_number 12
_cell_length_a 20.258
_cell_length_b 4.072
_cell_length_c 8.813
_cell_angle_alpha 90.00
_cell_angle_beta 103.76
_cell_angle_gamma 90.00
loop_
_symmetry_equiv_pos_as_xyz
'x,y,z'
'-x,-y,-z'
'-x,y,-z'
'x,-y,z'
'x+1/2,y+1/2,z'
'-x+1/2,-y+1/2,-z'
'-x+1/2,y+1/2,-z'
'x+1/2,-y+1/2,z'
loop_
_atom_site_label
_atom_site_type_symbol
_atom_site_fract_x
_atom_site_fract_y
_atom_site_fract_z
Pr1 Pr 0.000 0.000 0.192
Sm1 Sm 0.150 0.500 0.089
C1 C 0.036 0.500 0.021
I1 I 0.000 0.500 0.500
I2 I 0.163 0.000 0.363
I3 I 0.169 0.000 0.828
```

Properties
raw total energy = -57.2 eV/f.u.

DFT (GGA-PBE) results for crystalline DyYTm2Zn2 at its relaxed geometry.

CIF file:
```
data_DyYTm2Zn2
_chemical_formula_sum 'Dy2 Y2 Tm4 Zn4'
_symmetry_space_group_name_H-M 'A m m 2'
_symmetry_Int_Tables_number 38
_cell_length_a 5.184
_cell_length_b 3.564
_cell_length_c 16.220
_cell_angle_alpha 90.00
_cell_angle_beta 90.00
_cell_angle_gamma 90.00
loop_
_symmetry_equiv_pos_as_xyz
'x,y,z'
'-x,-y,z'
'-x,y,z'
'x,-y,z'
'x,y+1/2,z+1/2'
'-x,-y+1/2,z+1/2'
'-x,y+1/2,z+1/2'
'x,-y+1/2,z+1/2'
loop_
_atom_site_label
_atom_site_type_symbol
_atom_site_fract_x
_atom_site_fract_y
_atom_site_fract_z
Dy1 Dy 0.000 0.000 0.000
Y1 Y 0.500 0.000 0.838
>>>

I’ve tried my share of paper products over the years, and this is my first Maruman notebook. Based on my experience with this notepad, I’m certain I’ll be checking out more of their stuff.

If you’re looking for a notebook that allows you to break some of the rules and have an elegant writing experience while doing so, then give the Mnemosyne Special Memo Notepad a good look.

1. Full disclosure: I get to keep the wares sent my way and received no other compensation for this article. And thanks to Brad again for sending them.